Developing my final wordmark
What comes next are materials data, not part of the page.
+++
# PrSn2O6
Computed powder X-ray diffraction pattern, Cu Kα (weighted mean of Kα1 and Kα2). Input: the GGA-PBE geometry in the Materials Project.

Cell and atoms:
```
PrSn2O6
1.0
8.0179 0.0000 0.0000
0.0000 5.9043 0.0000
0.0000 0.0000 5.6331
Pr Sn O
2 4 12
direct
0.0000 0.1812 0.0000
0.5000 0.8188 0.5000
0.2481 0.2743 0.4893
0.2519 0.7257 0.9893
0.7481 0.7257 0.9893
0.7519 0.2743 0.4893
0.0000 0.2664 0.5902
0.0000 0.7778 0.9281
0.1955 0.4424 0.1791
0.2206 0.9820 0.2562
0.2794 0.0180 0.7562
0.3045 0.5576 0.6791
0.5000 0.2222 0.4281
0.5000 0.7336 0.0902
0.6955 0.5576 0.6791
0.7206 0.0180 0.7562
0.7794 0.9820 0.2562
0.8045 0.4424 0.1791
```

The 12 most intense peaks (5 to 70 degrees two-theta), low angle first:
4.754 Å, intensity 29.3
4.609 Å, intensity 31.3
4.076 Å, intensity 20.5
2.952 Å, intensity 21.4
2.858 Å, intensity 100.0
2.817 Å, intensity 25.4
2.615 Å, intensity 10.3
2.038 Å, intensity 25.3
2.004 Å, intensity 16.0
1.686 Å, intensity 11.3
1.634 Å, intensity 36.2
1.429 Å, intensity 18.8


# KNdZr2O6
Computed powder X-ray diffraction pattern, Cu Kα (weighted mean of Kα1 and Kα2). Input: the GGA-PBE geometry in the Materials Project.

Cell and atoms:
```
KNdZr2O6
1.0
0.0000 4.1778 4.1778
4.1778 0.0000 4.1778
4.1778 4.1778 0.0000
K Nd Zr O
1 1 2 6
direct
0.0000 0.0000 0.0000
0.5000 0.5000 0.5000
0.2500 0.2500 0.2500
0.7500 0.7500 0.7500
0.0000 0.0000 0.5000
0.0000 0.5000 0.0000
0.0000 0.5000 0.5000
0.5000 0.0000 0.0000
0.5000 0.0000 0.5000
0.5000 0.5000 0.0000
```

The 11 most intense peaks (5 to 70 degrees two-theta), low angle first:
4.824 Å, intensity 20.3
4.178 Å, intensity 1.6
2.954 Å, intensity 100.0
2.519 Å, intensity 12.2
2.412 Å, intensity 3.1
2.089 Å, intensity 34.8
1.917 Å, intensity 5.7
1.706 Å, intensity 39.5
1.608 Å, intensity 4.4
1.477 Å, intensity 20.8
1.412 Å, intensity 4.3
+++
More research
Moving forward with my wordmark project I have taken my favourite fonts and have began kerning, modifying and manipulating them in different ways to bring some personality and life to them and to my personal brand. I have previously researched wordmarks, access blogpost here and I have researched many different fonts for my brand, access blogpost here, I have continued to research fonts as I want to find the perfect one for my brand and get the most research as possible, I have added my new favourites below.
The Process
I have chosen font- Poiret one
All caps
After choosing my font I wanted to see what it would look like in all caps, I wondered if this would be a better approach for my wordmark. However I don’t like how this looks, it is too over whelming and the ‘e’ in my surname look so squished together, it looks too unbalanced and uneven. I will be continuing the the lower case for my wordmark.
Why did I choose this font?
I chose this particular font because I liked the way the e’s are tilted slightly it adds a light hearted aspect, so it isn’t too serious but overall it still appears modern, simple and clean which is what I wanted with my wordmark. I also think it pairs nicely with my monogram and they work well together.
My adjustments-
With using this this font I realised that I needed to adjust the G so it matches my final monogram which I have also included and I have included how I did this below. By changing certain aspects of the font it has made it more personal to me and it will make my brand more cohesive.
Planning adjustments with sketching
Here I have planned out how I would change the font to make it my own, I started with paper first.
Final monogram
From the images I have included of my monogram and my new wordmark’s it is clear that the adjustments I have made do tie my brand aspects and identities together nicely and fits with my monogram much better.
How did I create this wordmark?
Illustrator process
I have screens hotted how I created this wordmark and how I made the adjustments to the ‘G’ below.
I began with making a circle, this was the most important step as I had to get the G to match with the roundness of the G in my monogram.
I began to cut out sections of this circle and I have also drawn a very thin rectangle to use for the G.
I then placed all of the sections together and it formed a perfect circle and I created a G that matched my monogram. The below image shows my step by step and how the wordmark started and how it turned out.
I presented my ideas to Daniel and he gave me some pointers, he explained that my G was hanging lightly lower than the C so I needed to raise it to the same level and after that change my final workmark was ready…
Final wordmark
Final wordmark and monogram
I have included what my final wordmark looks like with my monogram as it is so important that the two work in harmony together and balance each other out. I am very pleased with how my monogram and wordmark look beside each other and they both represent everything that I wanted my brand to be- they look professional and creative next to each other and I am very happy!
Final thoughts
I am very pleased with my wordmark outcome, it gives off a clean, modern feel and with the slanted e’s I think it adds a nice friendly, creative touch. The changed G ties both the work mark and monogram together and I am happy because when both are used together they feel right. Overall I think that this has created a strong tone of voice for my brand and the different aspects are fitting together nicely, I am excited to see what is coming next!